disabled rider
At the risk of speaking for Canrider, I believe he was asking you why you couldn't just wheel your bicycle around the people in their mobility scooters, or whatever it is they are in/on.
These quantum chemistry results were left in the piece by mistake
+++
# C2H3NS3

One molecule with the formula C2H3NS3 in a non-equilibrium geometry (ωB97M-V with the def2-TZVPD basis set, the Open Molecules 2025 dataset).

```
9
Properties=species:S:1:pos:R:3:nbo_charge:R:1
C 1.86 -0.18 0.16 -0.008
C -2.03 -0.02 0.24 -0.568
H 2.25 -0.64 1.15 0.224
H 0.38 0.64 -0.82 0.471
H -2.91 -0.57 0.55 0.233
N 0.56 -0.11 -0.04 -0.780
S 2.81 0.64 -1.08 -0.220
S -0.71 -0.85 0.80 0.648
S -2.21 1.09 -0.97 0.000
```

## Properties
- Structure (SMILES): S=CNSC=S
- Charge: 0
- HOMO level: -0.31782 hartree
- Energy relative to the best compared isomer or geometry (same formula, charge and spin): 169.72 kJ/mol

# C20H26CoIN7Sb

C20H26CoIN7Sb as an isolated structure in a non-equilibrium geometry (ωB97M-V with the def2-TZVPD basis set, the Open Molecules 2025 dataset).

```
56
Properties=species:S:1:pos:R:3:lowdin_spin:R:1
Co -0.18 -0.91 0.32 2.637
I -4.55 -5.29 -0.44 0.001
C -2.80 -4.16 -0.62 0.002
C -1.74 -4.39 -1.47 0.002
N -0.85 -3.41 -1.24 0.005
N -1.27 -2.56 -0.30 0.046
C -2.46 -3.00 0.10 0.007
H -1.58 -5.17 -2.19 0.000
H 0.05 -3.27 -1.68 0.001
H -3.02 -2.49 0.85 0.001
C -0.41 1.00 3.99 0.008
Sb -0.43 -0.86 2.91 0.039
C 1.20 -1.81 3.95 0.006
C -2.04 -1.83 3.94 0.015
H -0.38 0.78 5.05 0.001
H -1.29 1.59 3.75 0.000
H 0.48 1.57 3.72 0.000
H 1.05 -1.71 5.02 0.001
H 2.14 -1.33 3.67 0.000
H 1.25 -2.86 3.68 0.000
H -1.86 -1.73 5.01 0.002
H -2.08 -2.88 3.68 0.000
H -2.99 -1.37 3.69 0.000
C -4.61 3.77 -1.43 0.000
C -3.23 4.31 -1.80 0.000
C -2.72 3.69 -3.10 0.000
C -2.23 4.14 -0.64 0.000
N -2.02 2.77 -0.25 0.002
C -1.19 1.86 -0.79 0.008
N -1.27 0.76 -0.05 0.047
N -2.15 1.03 0.92 0.010
N -2.59 2.21 0.80 0.003
H -5.32 4.01 -2.22 0.000
H -4.96 4.22 -0.51 0.000
H -4.61 2.69 -1.31 0.000
H -3.31 5.39 -1.95 0.000
H -2.68 2.60 -3.04 0.000
H -1.74 4.07 -3.36 0.000
H -3.40 3.95 -3.91 0.000
H -2.60 4.66 0.25 0.000
H -1.26 4.55 -0.93 0.000
H -0.56 2.00 -1.65 0.000
N 9.22 -1.45 -2.58 0.004
C 8.12 -1.38 -2.27 0.001
C 6.77 -1.29 -1.87 0.006
C 5.93 -0.35 -2.47 -0.002
C 4.62 -0.25 -2.07 0.008
C 4.12 -1.08 -1.05 0.006
C 4.97 -2.02 -0.45 0.008
C 6.28 -2.13 -0.86 -0.002
C 2.77 -0.99 -0.65 0.070
C 1.59 -0.92 -0.32 0.055
H 6.32 0.28 -3.26 0.000
H 3.96 0.48 -2.52 0.000
H 4.59 -2.65 0.34 0.000
H 6.94 -2.85 -0.41 0.000
```

## Properties
- <S²>: 3.762
- Charge: +1
- Spin multiplicity: 4
- HOMO level (alpha / beta): -0.39605 / -0.39864 hartree
- Energy relative to the best compared isomer or geometry (same formula, charge and spin): 24.02 kJ/mol

# C4H8Cl2N2

One molecule with the formula C4H8Cl2N2 in a non-equilibrium geometry (ωB97M-V with the def2-TZVPD basis set, the Open Molecules 2025 dataset).

```
16
Properties=species:S:1:pos:R:3:nbo_charge:R:1
C -1.32 -1.18 -1.09 -0.239
C -0.90 0.25 -0.63 -0.100
C -0.34 1.47 0.95 -0.246
C 0.47 0.43 0.12 -0.040
H -2.93 -1.66 0.04 0.363
H -1.45 -2.21 0.72 0.377
H -0.44 -1.76 -1.33 0.212
H -1.93 -1.14 -2.00 0.207
H -0.95 0.93 -1.49 0.211
H -2.01 0.28 1.08 0.359
H -0.12 2.50 0.59 0.206
H -0.13 1.47 2.01 0.209
+++
Thanks for clarification.
I have tendency to loose balance, when fatigued, if I am "off center" related loss of balance with the hearing loss, those that have significant loss of hearing know what I am talking about.. example (leaning to side or trying to hold a heavy load balanced like 60-80lb in my totes on the handle bars of bike like groceries while walking besides bike)
Also tried to explain, that if I walk besides my bike with said groceries, the tires kick out hard to the side, if its not perfectly balanced, anyone near by could be potentially hurt including me. result from "pendulum effect" I have learned if I stay on the bike my own body weight, keeps enough traction on the tires to completely prevent the tires from kicking out to the side, and at the same time i stay perfectly centered vertical so I don't loose balance due to my inter ear. It was a trial and error, to find what works, with what is available.
So I can clearly pin point when the change happened now, it was when smoking was banned from our building. For awhile the smokers, started smoking right at the entry way. This caused significant problems, for those who had breathing issues, including myself. It turns out, when a building is smoke free there is a 25ft clear zone around all entry ways. (When smokers were around the entryway, they were no where near the sidewalk or traffic path.) So when the management started enforcing the law, they set up a designation smoking area 50 ft from building, where they were not impeding traffic. They could not be any closer because of the air intake to the building and a gas main that comes into the building 25 ft from the door.
Well the people smoking, don't want to go to the designated area, so they started illegally loitering on the public sidewalk in large groups choking the sidewalk off. With total disregard to others using it. which includes the same people, who were having breathing problems, due to second hand. The designated area was away from those who would suffer from the second hand like those on oxygen.
I had come up with an "adaptation for my needs" to the walking my bike.(This works fine for distances of 1 block. but not really feasible for further distances..) I stay on the bike and I have my seat low enough that I can walk it, that way, so that at least one foot is on the ground at all times , no coasting, I can not move faster than I can walk and it also provides 3 point balance, 2 tires and 1 foot, "tripod" of single object. bike also has 3 points of contact to me instead of the 2 if I was walking besides the bike. two hands and butt.
Management of our building is happy with the "adaptation" because it provides the greatest safety with all involved. And even had told the residents to leave me alone about it.
The residents "mold of how things work" is that the "adaptation" is still riding, due to belief that because my butt is on the seat. with total disregard that my feet are walking me, with the balk of my weight on my feet, with NO COASTING, with the bike balanced between my legs that keeps the whole load centered and grounded.
Now that the conflict moved to the "Public" sidewalk Management has no say anymore. until I am officially on the property proper.
Following is sidewalk use related only:
== Quantum chemistry results, kept here for reference ==
~~~
1.
{
  "formula": "C3H3NO4",
  "method": "the ωB97M-V functional and the def2-TZVPD basis",
  "elements": ["C", "C", "C", "H", "H", "H", "N", "O", "O", "O", "O"],
  "coordinates": [[-0.169528, 0.093362, -1.562692], [0.542134, 0.656560, 1.667837], [-0.249174, -1.069458, 0.714429], [-0.891837, 0.905148, -1.444254], [0.449564, 0.522169, -2.461927], [-0.515528, -0.743942, -1.994622], [0.419288, -0.343696, -0.340776], [0.963883, 0.742285, 0.394126], [0.339272, 1.644453, 2.434827], [0.087013, -0.452456, 1.881436], [-0.975088, -1.954425, 0.711614]],
  "atomic_forces_ev_per_a": [[1.014, 3.583, -1.198], [-0.034, 10.401, 1.762], [1.461, 2.162, -2.011], [-0.415, -0.448, 0.347], [0.211, -0.882, 2.378], [-2.039, -2.955, -1.361], [0.841, -0.540, 2.444], [0.976, 1.515, -0.710], [2.057, -3.453, -2.852], [-1.952, -6.239, 2.026], [-2.119, -3.143, -0.827]],
  "homo_ev": -10.543,
  "relative_energy_ev": 3.390,
  "e_tot_ha": -471.7486,
  "orbital_gap_ev": 11.036,
  "smiles": "Cn1oc(=O)oc1=O"
}



2.
{
  "formula": "C3H3NOS",
  "method": "the ωB97M-V functional and the def2-TZVPD basis",
  "elements": ["C", "C", "C", "N", "O", "S", "H", "H", "H"],
  "coordinates": [[-0.933113, -0.417368, -0.031017], [-0.521272, 1.036961, -0.091446], [0.572930, -0.735294, -0.059478], [0.773177, 0.676621, -0.123478], [-1.174393, 2.083937, -0.038365], [-2.229186, -1.323828, -0.064894], [0.830623, -1.117543, 0.966887], [1.087941, -1.390434, -0.960482], [1.593293, 1.186948, 0.402273]],
  "atomic_forces_ev_per_a": [[0.394, -1.208, -1.450], [-3.533, 2.819, 0.747], [0.970, -2.665, -0.041], [4.187, 2.722, 1.276], [2.023, -2.137, -0.162], [-0.306, 0.153, 0.205], [0.138, -0.190, -1.123], [-1.579, 1.626, 2.364], [-2.295, -1.120, -1.815]],
  "homo_ev": -9.152,
  "relative_energy_ev": 1.518,
  "e_tot_ha": -644.2311,
  "orbital_gap_ev": 7.954,
  "smiles": "O=C1NCC1=S"
}



3.
{
  "formula": "C3H3NOS",
  "method": "the ωB97M-V functional and the def2-TZVPD basis",
  "elements": ["C", "C", "C", "N", "O", "S", "H", "H", "H"],
  "coordinates": [[1.515823, 0.037122, 0.173909], [1.056579, -1.018530, -0.212856], [-1.258262, 1.026558, -0.032973], [-1.243422, 1.460711, 1.106247], [-1.703341, 0.603940, -1.038309], [0.701136, -2.326185, -1.290210], [1.985404, 0.565888, 0.983282], [-0.456345, 1.797799, 1.575765], [-0.597573, -2.147303, -1.264855]],
  "atomic_forces_ev_per_a": [[0.305, -0.738, 1.257], [0.050, -0.302, -1.710], [-2.391, -0.266, -0.304], [-0.372, -0.467, -1.101], [1.408, 0.316, 0.737], [0.848, 0.607, 0.849], [-0.157, 0.354, -0.425], [1.203, 0.444, 0.685], [-0.894, 0.050, 0.012]],
  "homo_ev": -9.509,
  "relative_energy_ev": 2.184,
  "e_tot_ha": -644.2067,
  "orbital_gap_ev": 10.060,
  "smiles": "N=C=O.C#CS"
}



4.
{
  "formula": "C3H3NOS",
  "method": "the ωB97M-V functional and the def2-TZVPD basis",
  "elements": ["C", "C", "C", "N", "O", "S", "H", "H", "H"],
~~~
See the management had adapted its policy to accommodate someone with needs. They followed the ADA title 3 because they provide enough services to be considered a public accommodation, in the public areas of our building. The state has not, despite the ADA title 2 in its "discriminatory policy". I called the Department of Justice to confirm this regarding title 2 policy. If the city doesn't do anything to adapt its policy, so as "not" to exclude I am to report to the DOJ , so they can look into it.
You see the state, accounted for those who have difficulty "physically moving" like "no legs" etc. "classed as ambulatory impairments" But they failed to accommodate those with auditory, sight impairments, etc, who use different forms of mobility devices like bicycles, Trikes, tadpoles, segways, utility bikes, etc. Most of these are hell of lot cheaper than say "power chairs" or "4 wheel scooters". And scooters and power chairs are useless for outdoor winter, unlike bicycle or utility bike, using "4 wheel scooter" and power chairs out door in winter voids most warranties. and those paid by medical coverages forbid their use in winter outdoors, where snow and salt, destroys them. By the way. the amiability impaired. can use modified bikes, example "hand pedal" on the sidewalks, Why do they get to do it, if another person with impairments involving say balance due to the significant loss of hearing, uses a trike, but is not allowed since its not considered ambulatory?
these are permissible on sidewalks http://www.thescooterstoreonline.com/luxury-scooters.html which are in more of a 'car' class, than pedal power bicycles are. top speed of this one is 9.3 miles an hour http://www.thescooterstoreonline.com/sportrider.html This one 8 miles an hour http://www.thescooterstoreonline.com/vita.html Most would consider this speed too much for sidewalks. so at the end of the day what is the difference between the 2 wheels vs 4, when used by those who have impairments?
I am pretty sure UK has similar issues, and is so normalized, that people don't even realize it is happening. "exclusion factor form of discrimination.
disabled rider